Contents:
........
Here is a geometry-optimized KZnSi2 structure from Alexandria via LeMat-Bulk. Energies are from GGA-PBE.

* space-group type: Immm

Unit cell a=6.2420 b=6.2420 c=6.2420 alpha=154.94 beta=119.18 gamma=66.84
Element x y z (fractional)
Zn1 0.7500 0.2500 0.5000
Si1 0.9549 0.9549 0.0000
Si2 0.5451 0.5451 0.0000
K1 0.2500 0.7500 0.5000



Here is a geometry-optimized KZnSi2 structure from Alexandria via LeMat-Bulk. Energies are from GGA-PBE.

* space-group type: Cmmm

Unit cell a=5.8006 b=5.8006 c=2.6979 alpha=90.00 beta=90.00 gamma=119.31
Element x y z (fractional)
Si1 0.0000 0.0000 0.0000
Si2 0.5000 0.5000 0.0000
Zn1 0.5000 0.0000 0.5000
K1 0.0000 0.5000 0.5000



Here is a geometry-optimized KZn2Si2 structure from Alexandria via LeMat-Bulk. Energies are from GGA-PBE.

* energy relative to the lowest polymorph listed for this composition: 136 meV per atom
* space-group type: I4/mmm

Unit cell a=4.1977 b=4.1977 c=6.4007 alpha=70.86 beta=70.86 gamma=90.00
Element x y z (fractional)
Si1 0.7500 0.2500 0.5000
Si2 0.2500 0.7500 0.5000
Zn1 0.6153 0.6153 0.7695
Zn2 0.3847 0.3847 0.2305
K1 0.0000 0.0000 0.0000



Here is a geometry-optimized KZn2Si2 structure from Alexandria via LeMat-Bulk. Energies are from GGA-PBE.

* energy relative to the lowest polymorph listed for this composition: 265 meV per atom
* space-group type: P4/mbm

Unit cell a=8.2250 b=8.2250 c=2.8000 alpha=90.00 beta=90.00 gamma=90.00
Element x y z (fractional)
K1 0.5000 0.5000 0.0000
K2 0.0000 0.0000 0.0000
Zn1 0.6430 0.8570 0.5000
Zn2 0.1430 0.6430 0.5000
Zn3 0.3570 0.1430 0.5000
Zn4 0.8570 0.3570 0.5000
Si1 0.8560 0.6440 0.0000
Si2 0.3560 0.8560 0.0000
Si3 0.6440 0.1440 0.0000
Si4 0.1440 0.3560 0.0000



Here is a geometry-optimized KZnSi2 structure from Alexandria via LeMat-Bulk. Energies are from GGA-PBE.

* space-group type: Imm2

Unit cell a=5.7882 b=5.7882 c=5.7882 alpha=141.84 beta=112.35 gamma=80.41
Element x y z (fractional)
Zn1 0.5701 0.5701 0.0000
Si1 0.9205 0.9205 0.0000
Si2 0.7666 0.2666 0.5000
K1 0.2428 0.7428 0.5000



Here is a geometry-optimized KZnSi2 structure from Alexandria via LeMat-Bulk. Energies are from GGA-PBE.

* space-group type: P4mm

Unit cell a=3.3538 b=3.3538 c=7.7751 alpha=90.00 beta=90.00 gamma=90.00
Element x y z (fractional)
Si1 0.0000 0.0000 0.0935
Si2 0.5000 0.5000 0.2158
K1 0.5000 0.5000 0.7610
Zn1 0.0000 0.0000 0.4298



Here is a geometry-optimized KZnSi2 structure from Alexandria via LeMat-Bulk. Energies are from GGA-PBE.

* space-group type: I-4m2

Unit cell a=4.9342 b=4.9342 c=4.9342 alpha=121.45 beta=121.45 gamma=87.50
Element x y z (fractional)
K1 0.7500 0.2500 0.5000
Zn1 0.5000 0.5000 0.0000
Si1 0.2500 0.7500 0.5000
Si2 0.0000 0.0000 0.0000



Here is a geometry-optimized KZnSi2 structure from Alexandria via LeMat-Bulk. Energies are from GGA-PBE.

* space-group type: I4_1/amd

Unit cell a=4.9400 b=4.9400 c=9.2913 alpha=74.58 beta=74.58 gamma=90.00
Element x y z (fractional)
Si1 0.3750 0.1252 0.7500
Si2 0.8752 0.6250 0.2500
Si3 0.8748 0.1250 0.2500
Si4 0.8750 0.1248 0.7500
Zn1 0.7500 0.2500 0.5000
Zn2 0.0000 0.0000 0.0000
K1 0.5000 0.5000 0.0000
K2 0.2500 0.7500 0.5000



Here is a geometry-optimized KZnSi2 structure from Alexandria via LeMat-Bulk. Energies are from GGA-PBE.

* space-group type: Pm

Unit cell a=4.0446 b=2.8671 c=7.5598 alpha=90.08 beta=90.00 gamma=90.00
Element x y z (fractional)
Zn1 0.0000 0.2505 0.4445
K1 0.5000 0.7488 0.7559
Si1 0.0000 0.2496 0.0583
Si2 0.5000 0.2510 0.2414



Here is a geometry-optimized KZnSi2 structure from Alexandria via LeMat-Bulk. Energies are from GGA-PBE.

* space-group type: R-3m

Unit cell a=9.7897 b=9.7897 c=9.7897 alpha=18.03 beta=18.03 gamma=18.03
Element x y z (fractional)
Si1 0.9865 0.9865 0.9865
Si2 0.5135 0.5135 0.5135
Zn1 0.2500 0.2500 0.2500
K1 0.7500 0.7500 0.7500



Here is a geometry-optimized KZnSi2 structure from Alexandria via LeMat-Bulk. Energies are from GGA-PBE.

* space-group type: P4/mmm
........

Request:
Please search the lines further up for the word "amd" and echo each line that has it.

Here it is:
* space-group type: I4_1/amd